== What to do ==
Your job: restate the whole of the calculation results further down without altering anything.

== Source ==
+++
1.
ORCA calculation (ωB97M-V with the def2-TZVPD basis set) on a cluster of 11 separate species, C51H119N9O11 in total in a non-equilibrium geometry.

Calculated values
- gap between HOMO and LUMO (eV) = 8.4
- maximum force (eV/Å) = 3.444

```
! wB97M-V def2-TZVPD RIJCOSX def2/J DEFGRID3
* xyz 0 1
C -0.14 -6.57 2.02
C 1.08 -6.64 2.94
C 0.65 -7.35 4.30
C 2.17 -7.55 2.24
C 3.55 -7.49 2.89
C 3.98 -6.06 2.72
C 3.06 -5.09 3.57
C 3.04 -5.29 5.04
C 3.47 -3.62 3.27
N 1.68 -5.26 3.00
O 0.75 -4.49 3.79
H -0.77 -7.46 2.00
H -0.86 -5.82 2.37
H 0.21 -6.37 1.03
H -0.07 -8.14 4.04
H 1.51 -7.74 4.91
H 0.07 -6.64 4.91
H 1.74 -8.56 2.13
H 2.32 -7.15 1.23
H 3.56 -7.76 3.97
H 4.24 -8.20 2.38
H 3.92 -5.92 1.62
H 5.05 -5.92 2.94
H 3.95 -4.90 5.49
H 2.98 -6.36 5.30
H 2.13 -4.81 5.42
H 2.84 -2.95 3.89
H 3.37 -3.29 2.23
H 4.53 -3.50 3.50
H 0.70 -3.68 3.30
C -2.35 -0.21 3.39
C -2.03 -0.80 2.01
C -2.94 -1.97 1.86
C -2.36 0.31 1.00
C -1.80 -0.04 -0.43
C -0.29 -0.27 -0.29
C 0.02 -1.44 0.64
C -0.38 -2.76 -0.17
C 1.54 -1.55 0.96
N -0.58 -1.11 1.93
O -0.24 -2.10 2.85
H -1.97 0.82 3.47
H -3.43 -0.23 3.56
H -1.95 -0.90 4.18
H -2.79 -2.54 2.75
H -3.97 -1.59 1.78
H -2.78 -2.54 0.96
H -3.41 0.50 0.87
H -1.88 1.24 1.39
H -2.41 -0.86 -0.83
H -1.99 0.83 -1.05
H 0.33 0.60 0.05
H 0.21 -0.52 -1.24
H 0.24 -2.86 -1.07
H -1.39 -2.93 -0.52
H -0.10 -3.66 0.39
H 1.83 -0.59 1.41
H 2.03 -1.69 0.00
H 1.70 -2.36 1.68
H 0.25 -1.64 3.53
C 2.00 -0.92 -3.03
C 1.35 -1.59 -4.29
C 1.61 -0.64 -5.48
C 2.04 -2.92 -4.50
C 1.32 -3.66 -5.60
C -0.12 -3.98 -5.16
C -0.92 -2.70 -4.92
C -1.51 -2.01 -6.16
C -2.08 -3.07 -4.03
N -0.06 -1.81 -4.09
O -0.74 -0.63 -3.78
H 3.04 -0.66 -3.14
H 1.45 0.03 -2.88
H 1.96 -1.56 -2.15
H 2.69 -0.63 -5.79
H 1.01 -0.94 -6.34
H 1.33 0.35 -5.18
H 3.12 -2.72 -4.62
H 2.00 -3.63 -3.65
H 1.39 -2.96 -6.44
H 1.87 -4.53 -5.97
H 0.01 -4.58 -4.23
H -0.73 -4.57 -5.84
H -0.84 -1.71 -7.00
H -1.97 -1.08 -5.84
H -2.26 -2.63 -6.68
H -2.71 -2.19 -3.95
H -1.65 -3.18 -3.02
H -2.60 -3.99 -4.27
H -1.06 -0.65 -2.88
C 3.00 4.29 3.58
C 2.30 5.10 2.44
C 1.83 6.50 2.88
C 3.22 5.15 1.16
C 2.46 5.73 -0.05
C 1.32 4.80 -0.40
C 0.34 4.72 0.80
C -0.51 6.03 0.87
C -0.69 3.59 0.46
N 1.11 4.31 1.98
O 0.34 3.96 3.03
H 2.41 4.35 4.50
H 3.07 3.24 3.35
H 3.98 4.65 3.76
H 0.95 6.49 3.51
H 2.61 7.04 3.47
H 1.56 7.09 2.02
H 4.12 5.64 1.49
H 3.65 4.16 0.83
H 2.18 6.72 0.28
H 3.10 5.97 -0.88
H 1.83 3.84 -0.59
H 0.76 5.12 -1.29
H 0.11 6.90 0.57
H -0.98 6.27 1.83
H -1.30 6.03 0.10
H -0.12 2.67 0.53
H -1.08 3.76 -0.53
H -1.50 3.55 1.22
H -0.28 4.69 3.29
C -2.27 2.12 -5.83
C -2.40 2.55 -4.36
C -3.20 1.47 -3.62
C -0.98 2.70 -3.65
C -0.19 3.94 -4.03
C -1.07 5.17 -3.62
C -2.46 5.19 -4.33
C -3.36 6.26 -3.60
C -2.37 5.55 -5.86
N -3.08 3.84 -4.20
O -4.43 3.75 -4.56
H -1.50 1.33 -5.87
H -3.23 1.71 -6.16
H -1.91 2.96 -6.47
H -4.14 1.30 -4.11
H -2.85 0.41 -3.64
H -3.33 1.73 -2.58
H -1.07 2.84 -2.60
H -0.42 1.79 -3.78
H 0.77 3.96 -3.56
H 0.01 4.00 -5.11
H -0.60 6.11 -3.94
H -1.03 5.03 -2.54
H -2.97 7.28 -3.64
H -3.62 5.97 -2.57
H -4.34 6.36 -4.05
H -2.96 4.82 -6.43
H -1.36 5.46 -6.21
H -2.76 6.56 -5.98
H -4.44 3.96 -5.52
N 1.16 1.78 5.63
C 0.87 0.82 4.65
N 0.89 1.20 3.35
O 0.69 -0.33 4.98
H 1.12 1.51 6.59
H 1.25 2.72 5.38
H 0.60 2.14 3.10
H 0.46 0.46 2.72
N -3.12 4.86 5.72
C -1.97 4.60 4.83
N -1.75 3.25 4.62
O -1.39 5.57 4.33
H -3.85 4.17 5.57
H -3.36 5.82 5.88
H -2.22 2.60 5.22
H -0.93 2.93 4.21
C -5.96 0.76 1.05
O -7.38 0.73 1.33
H -5.51 -0.22 0.96
H -5.85 1.34 0.16
H -5.46 1.26 1.91
H -7.82 0.18 0.70
C 5.26 -1.66 0.45
O 5.13 -0.29 0.03
H 5.78 -2.12 -0.40
H 5.70 -2.01 1.38
H 4.29 -2.18 0.40
H 4.39 0.21 0.42
C -2.67 -5.72 -0.72
O -3.46 -4.72 -1.30
H -2.92 -5.82 0.34
H -2.79 -6.75 -1.08
H -1.58 -5.53 -0.78
H -3.12 -4.56 -2.17
C 3.94 0.40 2.95
O 3.52 1.18 1.82
H 4.97 0.22 2.68
H 3.82 0.92 3.90
H 3.55 -0.67 2.87
H 2.66 1.62 1.97
*
```



2.
ORCA calculation (ωB97M-V with the def2-TZVPD basis set) on a cluster of 12 separate species, C51H124N12O7 in total in a non-equilibrium geometry.

Calculated values
- ⟨S²⟩ = 0.75
+++

== Completed ==
1.
ORCA calculation (ωB97M-V with the def2-TZVPD basis set) on a cluster of 11 separate species, C51H119N9O11 in total in a non-equilibrium geometry.

Calculated values
- gap between HOMO and LUMO (eV) = 8.4
- maximum force (eV/Å) = 3.444

```
! wB97M-V def2-TZVPD RIJCOSX def2/J DEFGRID3
* xyz 0 1
C -0.14 -6.57 2.02
C 1.08 -6.64 2.94
C 0.65 -7.35 4.30
C 2.17 -7.55 2.24
C 3.55 -7.49 2.89
C 3.98 -6.06 2.72
C 3.06 -5.09 3.57
C 3.04 -5.29 5.04
C 3.47 -3.62 3.27
N 1.68 -5.26 3.00
O 0.75 -4.49 3.79
H -0.77 -7.46 2.00
H -0.86 -5.82 2.37
H 0.21 -6.37 1.03
H -0.07 -8.14 4.04
H 1.51 -7.74 4.91
H 0.07 -6.64 4.91
H 1.74 -8.56 2.13
H 2.32 -7.15 1.23
H 3.56 -7.76 3.97
H 4.24 -8.20 2.38
H 3.92 -5.92 1.62
H 5.05 -5.92 2.94
H 3.95 -4.90 5.49
H 2.98 -6.36 5.30
H 2.13 -4.81 5.42
H 2.84 -2.95 3.89
H 3.37 -3.29 2.23
H 4.53 -3.50 3.50
H 0.70 -3.68 3.30
C -2.35 -0.21 3.39
C -2.03 -0.80 2.01
C -2.94 -1.97 1.86
C -2.36 0.31 1.00
C -1.80 -0.04 -0.43
C -0.29 -0.27 -0.29
C 0.02 -1.44 0.64
C -0.38 -2.76 -0.17
C 1.54 -1.55 0.96
N -0.58 -1.11 1.93
O -0.24 -2.10 2.85
H -1.97 0.82 3.47
H -3.43 -0.23 3.56
H -1.95 -0.90 4.18
H -2.79 -2.54 2.75
H -3.97 -1.59 1.78
H -2.78 -2.54 0.96
H -3.41 0.50 0.87
H -1.88 1.24 1.39
H -2.41 -0.86 -0.83
H -1.99 0.83 -1.05
H 0.33 0.60 0.05
H 0.21 -0.52 -1.24
H 0.24 -2.86 -1.07
H -1.39 -2.93 -0.52
H -0.10 -3.66 0.39
H 1.83 -0.59 1.41
H 2.03 -1.69 0.00
H 1.70 -2.36 1.68
H 0.25 -1.64 3.53
C 2.00 -0.92 -3.03
C 1.35 -1.59 -4.29
C 1.61 -0.64 -5.48
C 2.04 -2.92 -4.50
C 1.32 -3.66 -5.60
C -0.12 -3.98 -5.16
C -0.92 -2.70 -4.92
C -1.51 -2.01 -6.16
C -2.08 -3.07 -4.03
N -0.06 -1.81 -4.09
O -0.74 -0.63 -3.78
H 3.04 -0.66 -3.14
H 1.45 0.03 -2.88
H 1.96 -1.56 -2.15
H 2.69 -0.63 -5.79
H 1.01 -0.94 -6.34
H 1.33 0.35 -5.18
H 3.12 -2.72 -4.62
H 2.00 -3.63 -3.65
H 1.39 -2.96 -6.44
H 1.87 -4.53 -5.97
H 0.01 -4.58 -4.23
H -0.73 -4.57 -5.84
H -0.84 -1.71 -7.00
H -1.97 -1.08 -5.84
H -2.26 -2.63 -6.68
H -2.71 -2.19 -3.95
H -1.65 -3.18 -3.02
H -2.60 -3.99 -4.27
H -1.06 -0.65 -2.88
C 3.00 4.29 3.58
C 2.30 5.10 2.44
C 1.83 6.50 2.88
C 3.22 5.15 1.16
C 2.46 5.73 -0.05
C 1.32 4.80 -0.40
C 0.34 4.72 0.80
C -0.51 6.03 0.87
C -0.69 3.59 0.46
N 1.11 4.31 1.98
O 0.34 3.96 3.03
H 2.41 4.35 4.50
H 3.07 3.24 3.35
H 3.98 4.65 3.76
H 0.95 6.49 3.51
H 2.61 7.04 3.47
H 1.56 7.09 2.02
H 4.12 5.64 1.49
H 3.65 4.16 0.83
H 2.18 6.72 0.28
H 3.10 5.97 -0.88
H 1.83 3.84 -0.59
H 0.76 5.12 -1.29
H 0.11 6.90 0.57
H -0.98 6.27 1.83
H -1.30 6.03 0.10
H -0.12 2.67 0.53
H -1.08 3.76 -0.53
H -1.50 3.55 1.22
H -0.28 4.69 3.29
C -2.27 2.12 -5.83
C -2.40 2.55 -4.36
C -3.20 1.47 -3.62
C -0.98 2.70 -3.65
C -0.19 3.94 -4.03
C -1.07 5.17 -3.62
C -2.46 5.19 -4.33
C -3.36 6.26 -3.60
C -2.37 5.55 -5.86
N -3.08 3.84 -4.20
O -4.43 3.75 -4.56
H -1.50 1.33 -5.87
H -3.23 1.71 -6.16
H -1.91 2.96 -6.47
H -4.14 1.30 -4.11
H -2.85 0.41 -3.64
H -3.33 1.73 -2.58
H -1.07 2.84 -2.60
H -0.42 1.79 -3.78
H 0.77 3.96 -3.56
H 0.01 4.00 -5.11
H -0.60 6.11 -3.94
H -1.03 5.03 -2.54
H -2.97 7.28 -3.64
H -3.62 5.97 -2.57
H -4.34 6.36 -4.05
H -2.96 4.82 -6.43
H -1.36 5.46 -6.21
H -2.76 6.56 -5.98
H -4.44 3.96 -5.52
N 1.16 1.78 5.63
C 0.87 0.82 4.65
N 0.89 1.20 3.35
O 0.69 -0.33 4.98
H 1.12 1.51 6.59
H 1.25 2.72 5.38
H 0.60 2.14 3.10
H 0.46 0.46 2.72
N -3.12 4.86 5.72
C -1.97 4.60 4.83
N -1.75 3.25 4.62
O -1.39 5.57 4.33
H -3.85 4.17 5.57
H -3.36 5.82 5.88
H -2.22 2.60 5.22
H -0.93 2.93 4.21
C -5.96 0.76 1.05
O -7.38 0.73 1.33
H -5.51 -0.22 0.96
H -5.85 1.34 0.16
H -5.46 1.26 1.91
H -7.82 0.18 0.70
C 5.26 -1.66 0.45
O 5.13 -0.29 0.03
H 5.78 -2.12 -0.40
H 5.70 -2.01 1.38
H 4.29 -2.18 0.40
H 4.39 0.21 0.42
C -2.67 -5.72 -0.72
O -3.46 -4.72 -1.30
H -2.92 -5.82 0.34
H -2.79 -6.75 -1.08
H -1.58 -5.53 -0.78
H -3.12 -4.56 -2.17
C 3.94 0.40 2.95
O 3.52 1.18 1.82
H 4.97 0.22 2.68
H 3.82 0.92 3.90
H 3.55 -0.67 2.87
H 2.66 1.62 1.97
*
```



2.
ORCA calculation (ωB97M-V with the def2-TZVPD basis set) on a cluster of 12 separate species, C51H124N12O7 in total in a non-equilibrium geometry.

Calculated values
- ⟨S²⟩ = 0.75